_Work order_
Your job: echo all of the material further down word for word.
_Listing_
<<<
(1)
Starting from a GGA-PBE-relaxed structure, the powder diffractogram of Fe2Ir6Rh was computed for Cu Kα (λ = 1.5418 Å).
Kinematic intensities with the Lorentz-polarization factor, no thermal factor.

Top 12 peaks for 2θ = 10–80°, in order of rising 2θ:
(1 1 0), 2θ 22.36, I = 20
(1 0 1), 2θ 23.68, I = 16
(0 1 -1), 2θ 25.81, I = 18
(1 2 0), 2θ 38.64, I = 64
(0 0 3), 2θ 41.16, I = 79
(-1 1 1), 2θ 42.57, I = 51
(2 1 2), 2θ 42.72, I = 100
(1 2 2), 2θ 44.86, I = 50
(2 1 -1), 2θ 44.99, I = 93
(3 0 1), 2θ 69.33, I = 34
(3 3 1), 2θ 69.46, I = 17
(2 1 -4), 2θ 79.37, I = 19

Structural model:
a b c (Å): 4.6887 4.6917 6.7634
angles (deg): 83.13 76.59 60.11
Fractional positions:
Fe 0.0517 0.3358 0.3381
Fe 0.9483 0.6642 0.6619
Ir 0.1642 0.6647 0.0031
Ir 0.2766 0.0011 0.6631
Ir 0.3852 0.6644 0.3365
Ir 0.6148 0.3356 0.6635
Ir 0.7234 0.9989 0.3369
Ir 0.8358 0.3353 0.9969
Rh 0.5000 0.0000 0.0000

=====

(2)
Starting from a GGA-PBE-relaxed structure, the powder diffractogram of In4Hg6Pb was computed for Cu Kα (λ = 1.5418 Å).
Kinematic intensities with the Lorentz-polarization factor, no thermal factor.

Top 12 peaks for 2θ = 10–80°, in order of rising 2θ:
(2 -1 0), 2θ 31.29, I = 100
(0 2 -1), 2θ 31.49, I = 98
(1 1 2), 2θ 33.32, I = 84
(1 0 -3), 2θ 34.86, I = 75
(1 -1 3), 2θ 35.96, I = 69
(-1 2 2), 2θ 36.06, I = 69
(2 1 -1), 2θ 41.79, I = 46
(2 -3 1), 2θ 48.01, I = 31
(3 0 2), 2θ 55.11, I = 20
(1 3 1), 2θ 55.46, I = 39
(0 1 -6), 2θ 66.09, I = 23
(3 2 1), 2θ 69.99, I = 29

Structural model:
a b c (Å): 5.7707 6.3137 8.6843
angles (deg): 91.14 90.52 109.13
Fractional positions:
In 0.0000 0.0000 0.0000
In 0.0882 0.1959 0.3774
In 0.4550 0.9073 0.8148
In 0.8124 0.6476 0.2840
Hg 0.1799 0.3675 0.7370
Hg 0.2624 0.5322 0.0968
Hg 0.3539 0.7269 0.4648
Hg 0.6304 0.2769 0.5558
Hg 0.7294 0.4647 0.9132
Hg 0.9066 0.8226 0.6407
Pb 0.5375 0.0836 0.1839
>>>
_Worked solution_
(1)
Starting from a GGA-PBE-relaxed structure, the powder diffractogram of Fe2Ir6Rh was computed for Cu Kα (λ = 1.5418 Å).
Kinematic intensities with the Lorentz-polarization factor, no thermal factor.

Top 12 peaks for 2θ = 10–80°, in order of rising 2θ:
(1 1 0), 2θ 22.36, I = 20
(1 0 1), 2θ 23.68, I = 16
(0 1 -1), 2θ 25.81, I = 18
(1 2 0), 2θ 38.64, I = 64
(0 0 3), 2θ 41.16, I = 79
(-1 1 1), 2θ 42.57, I = 51
(2 1 2), 2θ 42.72, I = 100
(1 2 2), 2θ 44.86, I = 50
(2 1 -1), 2θ 44.99, I = 93
(3 0 1), 2θ 69.33, I = 34
(3 3 1), 2θ 69.46, I = 17
(2 1 -4), 2θ 79.37, I = 19

Structural model:
a b c (Å): 4.6887 4.6917 6.7634
angles (deg): 83.13 76.59 60.11
Fractional positions:
Fe 0.0517 0.3358 0.3381
Fe 0.9483 0.6642 0.6619
Ir 0.1642 0.6647 0.0031
Ir 0.2766 0.0011 0.6631
Ir 0.3852 0.6644 0.3365
Ir 0.6148 0.3356 0.6635
Ir 0.7234 0.9989 0.3369
Ir 0.8358 0.3353 0.9969
Rh 0.5000 0.0000 0.0000

=====

(2)
Starting from a GGA-PBE-relaxed structure, the powder diffractogram of In4Hg6Pb was computed for Cu Kα (λ = 1.5418 Å).
Kinematic intensities with the Lorentz-polarization factor, no thermal factor.

Top 12 peaks for 2θ = 10–80°, in order of rising 2θ:
(2 -1 0), 2θ 31.29, I = 100
(0 2 -1), 2θ 31.49, I = 98
(1 1 2), 2θ 33.32, I = 84
(1 0 -3), 2θ 34.86, I = 75
(1 -1 3), 2θ 35.96, I = 69
(-1 2 2), 2θ 36.06, I = 69
(2 1 -1), 2θ 41.79, I = 46
(2 -3 1), 2θ 48.01, I = 31
(3 0 2), 2θ 55.11, I = 20
(1 3 1), 2θ 55.46, I = 39
(0 1 -6), 2θ 66.09, I = 23
(3 2 1), 2θ 69.99, I = 29

Structural model:
a b c (Å): 5.7707 6.3137 8.6843
angles (deg): 91.14 90.52 109.13
Fractional positions:
In 0.0000 0.0000 0.0000
In 0.0882 0.1959 0.3774
In 0.4550 0.9073 0.8148
In 0.8124 0.6476 0.2840
Hg 0.1799 0.3675 0.7370
Hg 0.2624 0.5322 0.0968
Hg 0.3539 0.7269 0.4648
Hg 0.6304 0.2769 0.5558
Hg 0.7294 0.4647 0.9132
Hg 0.9066 0.8226 0.6407
Pb 0.5375 0.0836 0.1839